It is clear that one of the most (if not the most) effective deterrents to being involved in a serious competition law breach is the risk of personal liability.  The UK Office of Fair Trading has recognised this on numerous occasions, for example: “sanctions on individuals play a crucial role in encouraging individual employees and executives to take competition law compliance seriously” (John Fingleton, OFT Chief Executive Officer, 2010). 

• Inserted here: records of crystals:
[1]
The following is a DFT calculation (PBE) of crystalline Zr2GaTc3 at its relaxed geometry.

Cell: 5.232 5.232 5.295 Å, 90.05 119.60 119.95°
Atoms (fractional coordinates):
Zr 0.245 0.622 0.867
Ga 0.000 0.000 0.000
Tc 0.500 0.000 0.500
Tc 0.000 0.000 0.500
Zr 0.755 0.378 0.133
Tc 0.500 0.500 0.500

Results
ΔE_f (meV/atom): -395


[2]
The following is a DFT calculation (PBE) of crystalline Mg2Tl3SnSe6 at its relaxed geometry.

Cell: 7.042 7.042 7.699 Å, 98.80 98.80 120.01°
Atoms (fractional coordinates):
Tl 0.831 0.169 0.500
Se 0.601 0.932 0.800
Se 0.737 0.737 0.206
Se 0.068 0.399 0.200
Mg 0.334 0.666 0.000
Se 0.399 0.068 0.200
Tl 0.500 0.500 0.500
Tl 0.169 0.831 0.500
Mg 0.666 0.334 0.000
Sn 0.000 0.000 0.000
Se 0.263 0.263 0.794
Se 0.932 0.601 0.800

Results
E_form (uncorrected) (eV/atom): -0.640


[3]
The following is a DFT calculation (PBE) of crystalline Sm6Ag5Os at its relaxed geometry.

Cell: 5.178 7.372 8.201 Å, 90.00 71.60 90.00°
Atoms (fractional coordinates):
Sm 0.500 0.231 0.000
Ag 0.322 0.000 0.356
Ag 0.667 0.500 0.667
Ag 0.000 0.500 0.000
Ag 0.333 0.500 0.333
Sm 0.843 0.759 0.313
Os 0.000 0.000 0.000
Sm 0.157 0.759 0.687
Sm 0.157 0.241 0.687
Sm 0.843 0.241 0.313
Sm 0.500 0.769 0.000
Ag 0.678 0.000 0.644

Results
ΔE_f (meV/atom): -259


For each record above, in turn, the calculated final energy values are -8.932; -3.573; -4.742 eV per atom.

----------

The following is a DFT calculation (PBE-GGA) of a geometry-optimized Al2CrTe structure.

Output
Calculated density (g cm⁻³): 5.111
Formation energy (no corrections) (eV/atom): 0.298
Size of the total moment (μB/f.u.): 3.296

Unit cell a=5.226 b=5.226 c=5.226 alpha=137.47 beta=126.66 gamma=70.49
Fractional coordinates of all 4 atoms:
Al: 0.000 0.000 0.000
Al: 0.754 0.254 0.500
Cr: 0.232 0.732 0.500
Te: 0.490 0.490 0.000

=====

The following is a DFT calculation (PBE-GGA) of a geometry-optimized HfNb3Re structure.

Output
E_form (eV/f.u.): 0.66
Distance to the lowest polymorph of the same formula (eV/atom): 0.0000
Calculated density (g cm⁻³): 11.117
Size of the total moment (μB/f.u.): 0.000

Unit cell a=5.409 b=9.115 c=7.797 alpha=90.00 beta=90.00 gamma=90.00
Fractional coordinates of all 20 atoms:
Hf: 0.217 0.250 0.159
Hf: 0.283 0.750 0.659
Hf: 0.717 0.250 0.341
Hf: 0.783 0.750 0.841
Nb: 0.079 0.052 0.839
Nb: 0.079 0.448 0.839
Nb: 0.216 0.250 0.545
Nb: 0.284 0.750 0.045
Nb: 0.421 0.552 0.339
Nb: 0.421 0.948 0.339
Nb: 0.579 0.052 0.661
Nb: 0.579 0.448 0.661
Nb: 0.716 0.250 0.955
Nb: 0.784 0.750 0.455
Nb: 0.921 0.552 0.161
Nb: 0.921 0.948 0.161
Re: 0.000 0.000 0.500
Re: 0.000 0.500 0.500
Re: 0.500 0.000 0.000
Re: 0.500 0.500 0.000

=====

The following is a DFT calculation (PBE-GGA) of a geometry-optimized KLiB2F8 structure.

Output
Calculated density (g cm⁻³): 2.421
Formation energy (no corrections) (eV/atom): -2.984
Size of the total moment (μB/f.u.): 0.124

Unit cell a=7.904 b=7.904 c=7.904 alpha=35.75 beta=35.75 gamma=35.75
Fractional coordinates of all 12 atoms:
• Back to the piece:

At the same time, it is clear that prosecutors in the UK will be keen on going after individuals when enforcing the UK Bribery Act.  Many readers will be well aware of Section 14.  This allows a prosecution of senior individuals if with their “consent or connivance” a bribery offence was carried out by the company.  So, even if an individual isn’t prosecuted for actually bribing or being bribed (which is of course possible), a senior person can nevertheless be punished.  He must have a “close connection” with the UK, but this includes any British citizen and anyone “ordinarily resident” in the UK.   

Materials data that have nothing to do with the page:
____________
Computed, not measured: a relaxed structure of In3Tc at the PBE level of DFT.

Output
calculated formation energy: 0.312 eV/atom
total moment: 0.00 μB per atom
calculated density: 9.106 g/cm3
calculated volume: 161.4 Å³/cell

Unit cell a=5.0285 b=5.8411 c=5.4941 alpha=90.00 beta=90.00 gamma=90.00
Space group Pmmn (No. 59, origin choice 2)
Inequivalent atoms, fractional coordinates:
In  0.2500  0.0041  0.1544
In  0.2500  0.7500  0.6178
Tc  0.2500  0.2500  0.6751

* * * * *

(1)
Computed, not measured: an optimized crystal structure of YErBi2O6 at the GGA-PBE level of DFT.

volume: 15.9 Å³/atom
crystal system: trigonal
ΔE_f (raw): -2294.8 kJ/mol of formula units

a = 6.010 Å, b = 6.010 Å, c = 6.151 Å
α = 60.76°, β = 60.76°, γ = 59.99°
Sites, in units of the cell vectors:
Y  0.808  0.808  0.575
Er  0.309  0.309  0.072
Bi  0.522  0.522  0.433
Bi  0.022  0.022  0.934
O  0.619  0.177  0.249
O  0.177  0.955  0.249
O  0.955  0.619  0.249
O  0.451  0.675  0.751
O  0.675  0.123  0.751
O  0.123  0.451  0.751

(2)
Computed, not measured: an optimized crystal structure of Er6BiOs2 at the GGA-PBE level of DFT.

volume: 26.2 Å³/atom
crystal system: orthorhombic
DFT formation energy: -0.38 eV/atom

a = 8.507 Å, b = 8.507 Å, c = 8.507 Å
α = 105.23°, β = 110.81°, γ = 112.46°
Sites, in units of the cell vectors:
Er  0.536  0.719  0.816
Er  0.464  0.281  0.184
Er  0.097  0.281  0.816
Er  0.903  0.719  0.184
Er  0.782  0.758  0.540
Er  0.218  0.242  0.460
Er  0.218  0.758  0.976
Er  0.782  0.242  0.024
Er  0.686  0.354  0.668
Er  0.314  0.646  0.332
Er  0.314  0.983  0.668
Er  0.686  0.017  0.332
Bi  0.000  0.500  0.500
Bi  0.000  0.000  0.000
Os  0.500  0.378  0.878
Os  0.500  0.622  0.122
Os  0.665  0.000  0.665
Os  0.335  0.000  0.335

(3)
Computed, not measured: an optimized crystal structure of Er5Bi2Os at the GGA-PBE level of DFT.

volume: 39.3 Å³/atom
crystal system: orthorhombic
DFT formation energy: -0.16 eV/atom

a = 5.516 Å, b = 8.368 Å, c = 14.413 Å
α = 90.00°, β = 90.00°, γ = 109.25°
Sites, in units of the cell vectors:
Er  0.947  0.894  0.876
Er  0.947  0.894  0.624
Er  0.277  0.553  0.397
Er  0.277  0.553  0.103
Er  0.699  0.397  0.250
Er  0.301  0.603  0.750
Er  0.723  0.447  0.603
Er  0.723  0.447  0.897
Er  0.053  0.106  0.124
Er  0.053  0.106  0.376
Bi  0.859  0.717  0.428
Bi  0.859  0.717  0.072
Bi  0.141  0.283  0.572
Bi  0.141  0.283  0.928
Os  0.827  0.653  0.750
Os  0.173  0.347  0.250

(4)
Computed, not measured: an optimized crystal structure of Er4Bi2Os at the GGA-PBE level of DFT.

volume: 29.8 Å³/atom
crystal system: orthorhombic
DFT formation energy: -0.51 eV/atom

a = 4.356 Å, b = 7.911 Å, c = 12.123 Å
α = 90.00°, β = 90.00°, γ = 90.00°
Sites, in units of the cell vectors:
Er  0.000  0.632  0.803
Er  0.000  0.368  0.197
Er  0.000  0.132  0.697
Er  0.000  0.868  0.303
Er  0.500  0.794  0.557
Er  0.500  0.206  0.443
Er  0.500  0.706  0.057
Er  0.500  0.294  0.943
Bi  0.500  0.922  0.828
Bi  0.500  0.078  0.172
Bi  0.500  0.422  0.672
____________

The meaning of “consent or connivance” will ultimately become the subject of much litigation.  Nevertheless, the effect of Section 14 is to ensure that directors and other senior individuals of a company have a direct individual incentive to be committed to ensuring that their company has an effective bribery law compliance culture.  They will wish to minimise the risks of their company infringing bribery law.  They will also wish to take steps to prevent, detect and bring to an end any infringements, so as (hopefully) to avoid being chased under Section 14 for conniving or consenting should an infringement take place.  

How do you go about removing or reducing the “consent/connive” risk? There is extensive guidance on how to implement a corporate bribery compliance programme, but no guidance on measures which individual directors should take.  Recent OFT competition law guidance (in the context of whether it will seek a “competition disqualification order” (CDO) against a director following a competition law breach by his company) does however provide a useful parallel.  The OFT states: “Where a director is genuinely committed to competition law compliance and has taken reasonable steps to ensure that the company has an effective compliance culture (which may include asking questions, making enquiries and taking steps to prevent or bring to an end any infringements of competition law as appropriate), it is unlikely that the OFT would apply for a CDO against a director on the basis that the director had failed to take steps to prevent a breach of competition law or ought to have known of conduct that constituted a breach of competition law” (Company directors and competition law, OFT Guidance, June 2011 (publication OFT1340)). 

The OFT goes on to look at the differences between executive and non-executive directors.  The former should have a detailed understanding of, and familiarity with, the way in which the company operates on a day-to-day basis.  The latter are not expected to have an intimate knowledge of day-to-day activities and transactions, but are expected at least to ask appropriate questions of the executive directors in order to ensure that appropriate compliance measures have been put in place.  Executive directors with sales responsibility will be expected to ensure amongst other things that appropriating mitigating activities are put in place to reduce risks arising from contacts with competitors at, for example, trade association meetings.  In the bribery field, a parallel can be drawn with a senior individual responsible for personnel active in high-risk countries.  The risk is greater, so you will have to do more to reduce your potential Section 14 exposure. 

“In all cases”, the OFT says “company directors are expected to demonstrate a commitment to competition law compliance, and to ensure that their organisation is taking steps to identify and to assess the company’s exposure to competition law risks and put in place appropriate steps to mitigate those risks, reviewing these activities on a regular basis”.

This commitment to compliance, and risk identification, assessment and mitigation, plus review, has clear parallels in the bribery field. 

The OFT then turns to expected knowledge of competition law.  A director is expected to have the standard of skill and knowledge that is appropriate for his position and the nature of the company in question.  This doesn’t necessarily help much, but in the bribery field the parallel would probably be that all directors and other senior people must be aware of at least the basics of the various offences under the Bribery Act and be able to recognise risks, so as to be able to make further enquiries or seek advice.  Senior compliance personnel will probably be expected to have a greater level of knowledge than other senior personnel to reduce their Section 14 risk.

 Finally, the OFT turns to how to detect and prevent competition law infringements.  It states “the OFT considers that a director cannot be absolved from responsibility for an infringement of competition law through a failure to keep himself informed”.  What he should do specifically depends on his position, but broadly the following questions would be a good start: 

  • What are our competition law risks at present?
  • Which are the high, medium and low risks?
  • What measures are we taking to mitigate these risks?
  • When are we next reviewing the risks to check they have not changed?
  • When are we next reviewing the effectiveness of our risk mitigation activities?

This tracks the recommended risk identification, assessment and mitigation, plus review, approach, which as noted has direct parallels in the bribery field.   

It is clear that, even if they do not bribe or accept bribes themselves, senior individuals are at risk under the Bribery Act.  This OFT guidance, despite being from the competition law field, sets out a useful framework for protecting yourself:

  • ensure that your company has appropriate compliance procedures in place; and
  • take steps yourself to be aware of what is going on in your area of the business.

Attached: crystal structures:
........
CuSbW2F | GGA+U | relaxed

The structure belongs to space group P4/mmm (No. 123); the cell edges are 5.142, 5.142 and 3.894 Å and the angles 90.00°, 90.00° and 90.00°. Symmetry generates all atoms from Cu at (0.000, 0.000, 0.000), Sb at (0.500, 0.500, 0.500), W at (0.000, 0.500, 0.000) and F at (0.000, 0.000, 0.500).

As for the density of states at the Fermi level: 2.365 states/eV per cell. As for the total DFT energy (no corrections): -4.0989 eV per atom. The size of the total moment is 7.8 μB/cell.

----------

Entry 1:
Computed, not measured: an optimized crystal structure of Be2Nb2Os at the PBE-GGA level of DFT.

Summary:
Space group   No. 127

Cell lengths 6.296, 6.296, 3.316 Å; angles 90.00, 90.00, 90.00 degrees
Element x y z (fractional)
Be: 0.378 0.878 0.000
Be: 0.878 0.622 0.000
Be: 0.622 0.122 0.000
Be: 0.122 0.378 0.000
Nb: 0.175 0.675 0.500
Nb: 0.675 0.825 0.500
Nb: 0.825 0.325 0.500
Nb: 0.325 0.175 0.500
Os: 0.000 0.000 0.000
Os: 0.500 0.500 0.000


Entry 2:
Computed, not measured: an optimized crystal structure of TmLuHgPd at the PBE-GGA level of DFT.

Summary:
Space group   No. 216

Cell lengths 5.028, 5.028, 5.028 Å; angles 60.00, 60.00, 60.00 degrees
Element x y z (fractional)
Lu: 0.250 0.250 0.250
Tm: 0.750 0.750 0.750
Hg: 0.500 0.500 0.500
Pd: 0.000 0.000 0.000


Entry 3:
Computed, not measured: an optimized crystal structure of Dy2Be6Pt9 at the PBE-GGA level of DFT.

Summary:
Space group   No. 191

Cell lengths 5.510, 5.510, 10.162 Å; angles 90.00, 90.00, 120.00 degrees
Element x y z (fractional)
Dy: 0.000 0.000 0.690
Dy: 0.000 0.000 0.310
Be: 0.333 0.667 0.000
Be: 0.667 0.333 0.000
Be: 0.333 0.667 0.666
Be: 0.667 0.333 0.666
Be: 0.667 0.333 0.334
Be: 0.333 0.667 0.334
Pt: 0.500 0.000 0.833
Pt: 0.000 0.500 0.833
Pt: 0.500 0.500 0.833
Pt: 0.500 0.000 0.167
Pt: 0.000 0.500 0.167
Pt: 0.500 0.500 0.167
Pt: 0.500 0.000 0.500
Pt: 0.000 0.500 0.500
Pt: 0.500 0.500 0.500


Entry 4:
Computed, not measured: an optimized crystal structure of Tl2AgPb2 at the PBE-GGA level of DFT.

Summary:
ΔE to the lowest computed polymorph   153.0 meV per atom
Space group   No. 139

Cell lengths 4.240, 4.240, 9.146 Å; angles 76.60, 76.60, 90.00 degrees
Element x y z (fractional)
Pb: 0.409 0.409 0.182
Pb: 0.591 0.591 0.818
Tl: 0.750 0.250 0.500
Tl: 0.250 0.750 0.500
Ag: 0.000 0.000 0.000


Entry 5:
Computed, not measured: an optimized crystal structure of LiHfIn2 at the PBE-GGA level of DFT.

Summary:
Space group   No. 166

Cell lengths 3.177, 3.177, 10.142 Å; angles 80.99, 80.99, 60.00 degrees
Element x y z (fractional)
Li: 0.000 0.000 0.000
Hf: 0.500 0.500 0.500
In: 0.747 0.747 0.760
In: 0.253 0.253 0.240


Entry 6:
Computed, not measured: an optimized crystal structure of MnCuAu5 at the PBE-GGA level of DFT.

Summary:
ΔE to the lowest computed polymorph   267.9 meV per atom
Space group   No. 44

Cell lengths 7.175, 7.290, 5.777 Å; angles 129.12, 128.39, 90.00 degrees
Last column: magnetic moment on the atom in μB.
Element x y z (fractional)
........

The McGuireWoods Guest Blogger is Matthew Hall, a partner based in McGuireWoods LLP’s Brussels office who specialises in all aspects of EU and UK competition law.